Assignment:
The reader should reproduce the calculation results below verbatim.
Material:
1.
Molecular formula: C31H21CoN9O7
Method: DFT, ωB97M-V with the def2-TZVPD basis set

Its LUMO energy (spin up / spin down) is -4.41 / -4.40 eV. As for the spin multiplicity: 1. As for the electronic energy: -97847.9662 eV. As for the total charge: +1.

Geometry (Å):
1 Co -0.71525 0.00743 0.00705
2 C -1.58761 -2.45850 -3.51303
3 C -1.69813 -1.87871 -2.25865
4 N -0.88697 -0.89456 -1.88093
5 C 0.04964 -0.49781 -2.75845
6 C 0.16129 -1.10750 -3.99486
7 N -0.65688 -2.08096 -4.38081
8 C 0.95233 0.55263 -2.26533
9 C 1.71812 1.39872 -3.03913
10 C 2.47914 2.38840 -2.41665
11 C 2.40395 2.48979 -1.02794
12 C 1.56234 1.65252 -0.33680
13 N 0.89626 0.67917 -0.94930
14 C 1.20882 1.74044 1.08942
15 C 1.62117 2.71696 1.97573
16 N 1.21345 2.73307 3.24088
17 C 0.38701 1.76631 3.63074
18 C -0.06771 0.79418 2.75447
19 N 0.34115 0.79858 1.48560
20 C 3.29910 3.33795 -3.21109
21 C 3.62516 4.59247 -2.71474
22 C 4.38122 5.45068 -3.49912
23 N 4.81369 5.14383 -4.72309
24 C 4.49129 3.93814 -5.19480
25 C 3.74938 3.00935 -4.48183
26 H -2.26634 -3.24550 -3.81782
27 H -2.45043 -2.20838 -1.56007
28 H 0.94609 -0.81923 -4.68414
29 H 1.67334 1.33039 -4.11678
30 H 2.98509 3.22994 -0.49728
31 H 2.28020 3.51547 1.66025
32 H 0.05912 1.77439 4.66303
33 H -0.76133 0.01426 3.05105
34 H 3.27544 4.93089 -1.74743
35 H 4.64604 6.43473 -3.12897
36 H 4.84361 3.70385 -6.19299
37 H 3.56191 2.03617 -4.91940
38 O -0.71871 3.82851 0.05504
39 C -1.34674 2.79173 0.15191
40 O -1.17112 1.77869 -0.67149
41 C -2.33124 2.60899 1.25414
42 C -2.82770 3.71166 1.92761
43 C -3.67676 3.51840 2.99650
44 C -3.97362 2.25743 3.46677
45 C -3.42776 1.17029 2.81639
46 C -2.67217 1.31220 1.64349
47 O -2.33723 0.26232 0.91806
48 N -3.66092 -0.15665 3.42042
49 O -2.80374 -1.01654 3.25031
50 O -4.67501 -0.32592 4.05406
51 N -4.24433 4.69102 3.69609
52 O -3.99140 5.78418 3.23704
53 O -4.91568 4.47991 4.68453
54 H -2.54700 4.70911 1.61821
55 H -4.59479 2.12244 4.33924
56 C -1.03944 -5.59675 2.70214
57 C -0.93892 -4.25894 2.02915
58 C -2.05162 -3.62360 1.49048
59 C -1.92085 -2.38417 0.90073
60 N -0.74014 -1.76271 0.81015
61 C 0.34332 -2.36025 1.32885
62 C 0.28245 -3.59307 1.93145
63 H -2.07601 -5.89727 2.83933
64 H -0.55109 -5.57206 3.67675
65 H -0.53567 -6.35938 2.10449
66 H -3.03242 -4.07678 1.55294
67 H -2.78118 -1.85053 0.52402
68 H 1.27696 -1.81625 1.25753
69 H 1.18786 -4.03383 2.32878

***

2.
Molecular formula: C3H3NO
Method: DFT, ωB97M-V with the def2-TZVPD basis set

Its LUMO energy is 1.03 eV. As for the spin multiplicity: 1. As for the electronic energy: -6695.1398 eV.

Geometry (Å):
1 C 0.98160 0.38043 0.16857
2 C 0.09388 0.33889 1.13571
3 C -0.57300 -0.41562 -0.84402
4 H 1.96943 0.83188 0.23807
5 H -0.29383 0.73295 1.96364
6 H -1.16771 -1.24047 -1.45711
7 N 0.69224 -0.23122 -0.95215
8 O -1.04606 -0.06601 0.39486

***

3.
Molecular formula: C4H8NO
Method: DFT, ωB97M-V with the def2-TZVPD basis set

Its LUMO energy is -3.35 eV. As for the spin multiplicity: 1. As for the electronic energy: -7806.2758 eV. As for the total charge: +1.

Geometry (Å):
1 C 1.90549 0.21376 0.60318
2 C 0.71552 0.08018 0.16537
3 C -0.25200 1.11137 -0.27662
4 C -1.37993 0.08624 -0.43699
5 O -2.10473 -0.02105 0.71673
6 N -0.11675 -1.10563 -0.22027
7 H 2.58124 -0.62414 0.82233
8 H 2.14996 1.28060 0.82080
9 H -0.56471 1.69765 0.65174
10 H -0.21665 1.66646 -1.18267
11 H -1.96094 -0.10070 -1.38259
12 H -3.06744 -0.00397 0.50422
13 H 0.08092 -1.71899 -1.03716
14 H -0.23248 -1.76087 0.62026

***

4.
Molecular formula: C3H5NO2
Method: DFT, ωB97M-V with the def2-TZVPD basis set

Its LUMO energy is 0.37 eV. As for the spin multiplicity: 1. As for the electronic energy: -8774.2306 eV.

Geometry (Å):
1 O -0.02828 0.07254 2.18609
2 C -0.07627 -0.08813 1.00389
3 N -0.87206 0.50517 0.08823
4 C -0.69326 0.34005 -1.34248
5 C 2.04540 -1.20419 0.72990
6 O 0.79528 -1.02411 0.36093
7 H -1.56060 1.16399 0.43671
8 H -1.63281 0.55829 -1.85571
9 H 0.10726 0.98015 -1.72910
10 H 2.24005 -0.52867 1.61898
11 H -0.40449 -0.69594 -1.53883

***

5.
Completed:
1.
Molecular formula: C31H21CoN9O7
Method: DFT, ωB97M-V with the def2-TZVPD basis set

Its LUMO energy (spin up / spin down) is -4.41 / -4.40 eV. As for the spin multiplicity: 1. As for the electronic energy: -97847.9662 eV. As for the total charge: +1.

Geometry (Å):
1 Co -0.71525 0.00743 0.00705
2 C -1.58761 -2.45850 -3.51303
3 C -1.69813 -1.87871 -2.25865
4 N -0.88697 -0.89456 -1.88093
5 C 0.04964 -0.49781 -2.75845
6 C 0.16129 -1.10750 -3.99486
7 N -0.65688 -2.08096 -4.38081
8 C 0.95233 0.55263 -2.26533
9 C 1.71812 1.39872 -3.03913
10 C 2.47914 2.38840 -2.41665
11 C 2.40395 2.48979 -1.02794
12 C 1.56234 1.65252 -0.33680
13 N 0.89626 0.67917 -0.94930
14 C 1.20882 1.74044 1.08942
15 C 1.62117 2.71696 1.97573
16 N 1.21345 2.73307 3.24088
17 C 0.38701 1.76631 3.63074
18 C -0.06771 0.79418 2.75447
19 N 0.34115 0.79858 1.48560
20 C 3.29910 3.33795 -3.21109
21 C 3.62516 4.59247 -2.71474
22 C 4.38122 5.45068 -3.49912
23 N 4.81369 5.14383 -4.72309
24 C 4.49129 3.93814 -5.19480
25 C 3.74938 3.00935 -4.48183
26 H -2.26634 -3.24550 -3.81782
27 H -2.45043 -2.20838 -1.56007
28 H 0.94609 -0.81923 -4.68414
29 H 1.67334 1.33039 -4.11678
30 H 2.98509 3.22994 -0.49728
31 H 2.28020 3.51547 1.66025
32 H 0.05912 1.77439 4.66303
33 H -0.76133 0.01426 3.05105
34 H 3.27544 4.93089 -1.74743
35 H 4.64604 6.43473 -3.12897
36 H 4.84361 3.70385 -6.19299
37 H 3.56191 2.03617 -4.91940
38 O -0.71871 3.82851 0.05504
39 C -1.34674 2.79173 0.15191
40 O -1.17112 1.77869 -0.67149
41 C -2.33124 2.60899 1.25414
42 C -2.82770 3.71166 1.92761
43 C -3.67676 3.51840 2.99650
44 C -3.97362 2.25743 3.46677
45 C -3.42776 1.17029 2.81639
46 C -2.67217 1.31220 1.64349
47 O -2.33723 0.26232 0.91806
48 N -3.66092 -0.15665 3.42042
49 O -2.80374 -1.01654 3.25031
50 O -4.67501 -0.32592 4.05406
51 N -4.24433 4.69102 3.69609
52 O -3.99140 5.78418 3.23704
53 O -4.91568 4.47991 4.68453
54 H -2.54700 4.70911 1.61821
55 H -4.59479 2.12244 4.33924
56 C -1.03944 -5.59675 2.70214
57 C -0.93892 -4.25894 2.02915
58 C -2.05162 -3.62360 1.49048
59 C -1.92085 -2.38417 0.90073
60 N -0.74014 -1.76271 0.81015
61 C 0.34332 -2.36025 1.32885
62 C 0.28245 -3.59307 1.93145
63 H -2.07601 -5.89727 2.83933
64 H -0.55109 -5.57206 3.67675
65 H -0.53567 -6.35938 2.10449
66 H -3.03242 -4.07678 1.55294
67 H -2.78118 -1.85053 0.52402
68 H 1.27696 -1.81625 1.25753
69 H 1.18786 -4.03383 2.32878

***

2.
Molecular formula: C3H3NO
Method: DFT, ωB97M-V with the def2-TZVPD basis set

Its LUMO energy is 1.03 eV. As for the spin multiplicity: 1. As for the electronic energy: -6695.1398 eV.

Geometry (Å):
1 C 0.98160 0.38043 0.16857
2 C 0.09388 0.33889 1.13571
3 C -0.57300 -0.41562 -0.84402
4 H 1.96943 0.83188 0.23807
5 H -0.29383 0.73295 1.96364
6 H -1.16771 -1.24047 -1.45711
7 N 0.69224 -0.23122 -0.95215
8 O -1.04606 -0.06601 0.39486

***

3.
Molecular formula: C4H8NO
Method: DFT, ωB97M-V with the def2-TZVPD basis set

Its LUMO energy is -3.35 eV. As for the spin multiplicity: 1. As for the electronic energy: -7806.2758 eV. As for the total charge: +1.

Geometry (Å):
1 C 1.90549 0.21376 0.60318
2 C 0.71552 0.08018 0.16537
3 C -0.25200 1.11137 -0.27662
4 C -1.37993 0.08624 -0.43699
5 O -2.10473 -0.02105 0.71673
6 N -0.11675 -1.10563 -0.22027
7 H 2.58124 -0.62414 0.82233
8 H 2.14996 1.28060 0.82080
9 H -0.56471 1.69765 0.65174
10 H -0.21665 1.66646 -1.18267
11 H -1.96094 -0.10070 -1.38259
12 H -3.06744 -0.00397 0.50422
13 H 0.08092 -1.71899 -1.03716
14 H -0.23248 -1.76087 0.62026

***

4.
Molecular formula: C3H5NO2
Method: DFT, ωB97M-V with the def2-TZVPD basis set

Its LUMO energy is 0.37 eV. As for the spin multiplicity: 1. As for the electronic energy: -8774.2306 eV.

Geometry (Å):
1 O -0.02828 0.07254 2.18609
2 C -0.07627 -0.08813 1.00389
3 N -0.87206 0.50517 0.08823
4 C -0.69326 0.34005 -1.34248
5 C 2.04540 -1.20419 0.72990
6 O 0.79528 -1.02411 0.36093
7 H -1.56060 1.16399 0.43671
8 H -1.63281 0.55829 -1.85571
9 H 0.10726 0.98015 -1.72910
10 H 2.24005 -0.52867 1.61898
11 H -0.40449 -0.69594 -1.53883

***

5.